The reader should work out how many lines below have the word "Output" in them; a number is enough.

/*
Entry from OMol25: 7 unconnected molecules or ions with the total composition C24H40F6N3O18P2 at a distorted geometry (ωB97M-V/def2-TZVPD).

Output
* ΔE to the lowest compared entry with this formula, charge and spin: 21.54 kcal per mole
* gap between HOMO and LUMO: 5.602 eV
* total charge: -1
* DFT total energy: -3738.9637 a.u.
* HOMO: -3.8 eV
* multiplicity: 1

Each line ends with the Mulliken charge.
Cartesian coordinates (Å):
C  -1.2980  -3.6314  1.9161  -1.471
P  -1.0003  -1.8709  1.1921  0.952
C  0.9359  -2.0928  1.2129  -1.048
C  1.5588  -1.9991  -0.2350  -0.600
N  2.4713  -3.1837  -0.4441  -0.590
C  -0.8892  -1.1449  2.9708  -2.041
C  -0.5701  0.3778  3.0192  0.146
C  0.4205  0.7607  4.1688  -0.141
N  1.3282  1.8397  3.7289  -0.447
P  -3.1791  -1.4327  0.9628  0.152
N  -3.3500  -0.6396  -0.4505  -0.425
H  -0.6777  -4.3308  1.3136  0.288
H  -0.9429  -3.7557  2.9615  0.277
H  -2.3387  -3.9985  1.8445  0.426
H  -0.7575  -0.5873  0.5516  0.079
H  -1.0855  -2.4763  -0.1454  -0.110
H  1.2404  -3.0257  1.7268  0.481
H  1.3626  -1.2479  1.7943  0.110
H  2.1176  -1.0601  -0.3786  0.334
H  0.7859  -2.0599  -1.0186  0.319
H  1.8725  -3.9804  -0.2425  0.233
H  3.0877  -3.1406  0.3635  0.251
H  -1.8052  -1.3944  3.5544  0.453
H  -0.0672  -1.6502  3.5206  0.475
H  -0.0935  0.7095  2.0748  0.274
H  -1.4945  0.9638  3.1365  0.311
H  -0.1835  1.1805  4.9874  -0.282
H  0.9687  -0.1122  4.5680  0.418
H  2.1303  1.9256  4.3374  0.201
H  1.6289  1.6746  2.7757  0.202
H  -3.9021  -2.6807  0.8613  -0.037
H  -3.6984  -0.6158  2.0251  -0.056
H  -3.7716  0.2655  -0.2990  0.049
C  0.7373  4.3679  1.9724  0.066
C  2.0452  4.5673  1.2638  0.350
O  1.7114  5.5020  0.2488  -0.327
C  0.6778  6.2394  0.7326  0.646
O  0.3153  7.2694  0.2692  -0.541
O  0.1153  5.6519  1.8167  -0.363
F  2.4789  3.4212  0.6827  -0.289
H  0.1182  3.6019  1.4976  0.073
H  0.8605  4.1146  3.0235  0.163
H  2.8400  4.9797  1.8905  0.269
C  -3.2703  2.0068  8.1274  -0.487
C  -2.4649  0.7736  7.8294  0.281
O  -2.3976  0.7807  6.4160  -0.219
C  -2.4676  2.0844  6.0341  0.528
O  -2.1801  2.4822  4.9592  -0.350
O  -2.9034  2.8724  7.0535  -0.353
F  -3.1078  -0.3508  8.2363  -0.281
H  -4.3452  1.8165  8.0921  0.282
H  -3.0213  2.4499  9.0903  0.269
H  -1.4533  0.7840  8.2425  0.291
C  5.3101  -3.2994  -3.5234  -0.115
C  3.8275  -3.1567  -3.6904  0.544
O  3.5534  -4.0179  -4.7892  -0.332
C  4.4981  -4.9942  -4.7491  0.633
O  4.4300  -6.0176  -5.3446  -0.532
O  5.5309  -4.6506  -3.9382  -0.351
F  3.4902  -1.8819  -4.0375  -0.279
H  5.8687  -2.6255  -4.1748  -0.033
H  5.6332  -3.1448  -2.4958  0.338
H  3.2426  -3.4683  -2.8202  0.119
C  5.4945  -0.5541  -7.0131  -0.402
C  6.3049  0.6863  -7.2600  0.304
O  7.0653  0.8023  -6.0700  -0.307
C  7.2298  -0.4619  -5.5957  0.668
O  8.0219  -0.7706  -4.7724  -0.511
O  6.3734  -1.3286  -6.1930  -0.278
F  5.5152  1.7821  -7.3876  -0.286
H  4.5727  -0.3474  -6.4649  0.248
H  5.2470  -1.0844  -7.9307  0.288
H  6.9784  0.6221  -8.1181  0.275
C  -4.4079  -2.5077  -3.4347  -0.102
C  -5.8731  -2.3496  -3.7101  0.332
O  -6.0913  -3.2674  -4.7732  -0.320
C  -5.1685  -4.2566  -4.6191  0.656
O  -5.2237  -5.3110  -5.1622  -0.536
O  -4.1888  -3.8876  -3.7629  -0.296
F  -6.1727  -1.0977  -4.1445  -0.278
H  -3.7913  -1.8804  -4.0810  0.203
H  -4.1507  -2.2985  -2.3940  0.010
H  -6.5201  -2.6053  -2.8679  0.270
C  -2.4393  4.8660  0.4492  -0.366
C  -3.8944  5.0246  0.1151  0.330
O  -4.0643  4.1370  -0.9726  -0.342
C  -3.1406  3.1427  -0.8089  0.517
O  -3.1735  2.1053  -1.3696  -0.536
O  -2.1941  3.5020  0.1002  -0.221
F  -4.1800  6.2897  -0.2971  -0.301
H  -1.8025  5.5157  -0.1553  0.164
H  -2.2293  5.0459  1.5005  0.348
H  -4.5742  4.7437  0.9233  0.284

---

Entry from OMol25: C4H4N4 in the gas phase at a distorted geometry (ωB97M-V/def2-TZVPD).

Output
* ΔE to the lowest compared entry with this formula, charge and spin: 52.65 kcal per mole
* gap between HOMO and LUMO: 8.844 eV
* DFT total energy: -373.7610 a.u.
* SMILES: [H]/N=c1\cncncn1
* HOMO: -9.8 eV
*/

2